-- begin --
1.
The following is a quantum chemistry calculation of a molecular structure, C58H51FN6O6PbS in a non-equilibrium geometry, from OMol25.

Positions of all 124 atoms, in Å:
Pb  -16.23  -14.24  16.66
C  -19.35  -21.81  22.96
O  -19.96  -21.11  21.84
C  -19.30  -20.00  21.37
C  -18.14  -19.46  21.90
C  -17.51  -18.39  21.28
C  -17.92  -17.90  20.04
C  -19.10  -18.46  19.49
C  -19.81  -19.42  20.17
C  -17.12  -16.81  19.39
C  -16.16  -17.21  18.41
C  -15.98  -18.54  17.94
C  -15.01  -18.54  16.97
C  -14.64  -17.18  16.77
N  -15.28  -16.38  17.71
C  -13.81  -16.74  15.67
C  -13.17  -15.44  15.69
C  -12.15  -14.96  14.82
C  -11.97  -13.61  15.12
C  -12.84  -13.27  16.18
C  -12.97  -11.99  16.78
C  -11.84  -11.03  16.54
C  -10.99  -10.75  17.62
C  -9.87  -9.95  17.52
C  -9.69  -9.20  16.36
O  -8.77  -8.21  16.19
C  -7.92  -7.90  17.30
C  -10.53  -9.44  15.26
C  -11.53  -10.39  15.32
C  -14.01  -11.57  17.70
N  -15.07  -12.31  18.15
C  -15.87  -11.48  18.90
C  -17.14  -11.84  19.49
C  -18.15  -10.79  19.91
C  -19.39  -10.58  19.29
C  -20.24  -9.52  19.59
C  -19.92  -8.71  20.70
O  -20.70  -7.71  21.19
C  -21.97  -7.47  20.55
C  -18.69  -8.91  21.38
C  -17.82  -9.90  20.96
C  -17.51  -13.21  19.71
C  -18.56  -13.67  20.55
C  -18.53  -15.05  20.55
C  -17.46  -15.45  19.69
N  -16.80  -14.32  19.22
C  -15.28  -10.18  18.94
C  -14.12  -10.23  18.20
N  -13.58  -14.41  16.53
C  -13.79  -17.60  14.46
C  -12.60  -18.00  13.83
C  -12.64  -18.84  12.73
C  -13.82  -19.31  12.14
O  -13.66  -20.10  11.04
C  -14.86  -20.48  10.30
C  -15.04  -18.95  12.77
C  -14.99  -18.10  13.87
H  -20.09  -22.60  23.20
H  -19.24  -21.17  23.84
H  -18.39  -22.26  22.68
H  -17.72  -19.87  22.80
H  -16.63  -17.95  21.76
H  -19.46  -18.01  18.52
H  -20.75  -19.79  19.80
H  -16.55  -19.39  18.27
H  -14.62  -19.39  16.44
H  -11.62  -15.52  14.07
H  -11.25  -12.94  14.69
H  -11.23  -11.19  18.58
H  -9.17  -9.86  18.33
H  -7.28  -7.12  16.87
H  -7.30  -8.73  17.64
H  -8.44  -7.48  18.17
H  -10.32  -8.89  14.32
H  -12.10  -10.57  14.43
H  -19.68  -11.24  18.47
H  -21.16  -9.37  19.02
H  -22.33  -6.56  21.06
H  -22.69  -8.29  20.70
H  -21.86  -7.27  19.47
H  -18.45  -8.24  22.19
H  -16.88  -10.00  21.50
H  -19.30  -13.04  21.06
H  -19.19  -15.71  21.11
H  -15.67  -9.30  19.44
H  -13.42  -9.42  18.05
H  -11.63  -17.72  14.21
H  -11.73  -19.21  12.27
H  -14.47  -21.09  9.49
H  -15.40  -19.60  9.88
H  -15.52  -21.09  10.93
H  -16.01  -19.32  12.39
H  -15.93  -17.80  14.29
C  -20.02  -14.16  16.97
C  -19.91  -13.86  15.52
C  -21.05  -14.11  14.70
C  -20.96  -13.98  13.35
C  -19.68  -13.75  12.81
C  -19.49  -13.92  11.42
C  -18.23  -13.86  10.85
C  -17.12  -13.58  11.69
C  -17.22  -13.41  13.08
S  -15.66  -13.21  13.79
C  -18.55  -13.54  13.68
N  -18.70  -13.55  15.02
H  -21.01  -13.89  17.32
H  -19.23  -13.63  17.47
H  -19.86  -15.27  17.05
H  -21.96  -14.42  15.20
H  -21.81  -14.11  12.69
H  -20.39  -14.14  10.85
H  -18.10  -14.00  9.79
H  -16.13  -13.49  11.25
O  -17.33  -16.26  15.61
H  -17.78  -15.80  14.89
H  -18.28  -16.62  16.19
O  -15.02  -10.06  14.76
H  -14.48  -10.17  15.57
H  -15.11  -10.97  14.42
F  -19.35  -16.87  16.97
N  -17.98  -10.45  16.10
H  -17.11  -10.19  15.63
H  -17.93  -10.12  17.05
H  -18.01  -11.47  16.05

Values from the calculation:
ΔE to the lowest compared entry with this formula, charge and spin, kJ/mol: 0.0
Energy, a.u.: -3711.7062
2S+1: 1
HOMO (alpha / beta), eV: -1.398 / -1.394
Total charge: -2



2.
The following is a quantum chemistry calculation of 7 unconnected molecules or ions with the total composition C58H56BrF12NO5 in a non-equilibrium geometry, from OMol25.

Positions of all 133 atoms, in Å:
C  2.89  -3.78  0.40
C  3.41  -2.35  0.64
C  3.62  -1.58  -0.68
O  3.10  -0.23  -0.66
C  2.40  0.20  -1.74
C  2.14  1.72  -1.38
C  1.18  2.47  -2.29
O  1.50  3.07  -3.26
Br  -0.75  2.60  -1.86
O  1.14  -0.38  -2.00
C  0.55  -1.18  -1.02
C  -0.03  -0.49  0.23
O  -0.85  -1.52  0.92
C  -2.09  -1.16  1.08
N  -3.21  -0.88  1.04
O  0.96  -0.14  1.12
-- stop --
What is needed: return only the last part of the block further up, starting with the line that has "-19.79".
H  -20.75  -19.79  19.80
H  -16.55  -19.39  18.27
H  -14.62  -19.39  16.44
H  -11.62  -15.52  14.07
H  -11.25  -12.94  14.69
H  -11.23  -11.19  18.58
H  -9.17  -9.86  18.33
H  -7.28  -7.12  16.87
H  -7.30  -8.73  17.64
H  -8.44  -7.48  18.17
H  -10.32  -8.89  14.32
H  -12.10  -10.57  14.43
H  -19.68  -11.24  18.47
H  -21.16  -9.37  19.02
H  -22.33  -6.56  21.06
H  -22.69  -8.29  20.70
H  -21.86  -7.27  19.47
H  -18.45  -8.24  22.19
H  -16.88  -10.00  21.50
H  -19.30  -13.04  21.06
H  -19.19  -15.71  21.11
H  -15.67  -9.30  19.44
H  -13.42  -9.42  18.05
H  -11.63  -17.72  14.21
H  -11.73  -19.21  12.27
H  -14.47  -21.09  9.49
H  -15.40  -19.60  9.88
H  -15.52  -21.09  10.93
H  -16.01  -19.32  12.39
H  -15.93  -17.80  14.29
C  -20.02  -14.16  16.97
C  -19.91  -13.86  15.52
C  -21.05  -14.11  14.70
C  -20.96  -13.98  13.35
C  -19.68  -13.75  12.81
C  -19.49  -13.92  11.42
C  -18.23  -13.86  10.85
C  -17.12  -13.58  11.69
C  -17.22  -13.41  13.08
S  -15.66  -13.21  13.79
C  -18.55  -13.54  13.68
N  -18.70  -13.55  15.02
H  -21.01  -13.89  17.32
H  -19.23  -13.63  17.47
H  -19.86  -15.27  17.05
H  -21.96  -14.42  15.20
H  -21.81  -14.11  12.69
H  -20.39  -14.14  10.85
H  -18.10  -14.00  9.79
H  -16.13  -13.49  11.25
O  -17.33  -16.26  15.61
H  -17.78  -15.80  14.89
H  -18.28  -16.62  16.19
O  -15.02  -10.06  14.76
H  -14.48  -10.17  15.57
H  -15.11  -10.97  14.42
F  -19.35  -16.87  16.97
N  -17.98  -10.45  16.10
H  -17.11  -10.19  15.63
H  -17.93  -10.12  17.05
H  -18.01  -11.47  16.05

Values from the calculation:
ΔE to the lowest compared entry with this formula, charge and spin, kJ/mol: 0.0
Energy, a.u.: -3711.7062
2S+1: 1
HOMO (alpha / beta), eV: -1.398 / -1.394
Total charge: -2



2.
The following is a quantum chemistry calculation of 7 unconnected molecules or ions with the total composition C58H56BrF12NO5 in a non-equilibrium geometry, from OMol25.

Positions of all 133 atoms, in Å:
C  2.89  -3.78  0.40
C  3.41  -2.35  0.64
C  3.62  -1.58  -0.68
O  3.10  -0.23  -0.66
C  2.40  0.20  -1.74
C  2.14  1.72  -1.38
C  1.18  2.47  -2.29
O  1.50  3.07  -3.26
Br  -0.75  2.60  -1.86
O  1.14  -0.38  -2.00
C  0.55  -1.18  -1.02
C  -0.03  -0.49  0.23
O  -0.85  -1.52  0.92
C  -2.09  -1.16  1.08
N  -3.21  -0.88  1.04
O  0.96  -0.14  1.12